/*
# NaB

A relaxed structure of NaB (PBE, the Materials Project).

Structure (extended XYZ):
```
2
Lattice="0.000 2.684 2.684 2.684 0.000 2.684 2.684 2.684 0.000" Properties=species:S:1:pos:R:3 pbc="T T T"
Na 0.000 0.000 0.000
B 2.684 2.684 2.684
```

Results
Total energy: -2.14 eV per atom
E_form: 1.858 eV per atom

# Na3B

A relaxed structure of Na3B (PBE, the Materials Project).

Structure (extended XYZ):
```
4
Lattice="0.000 3.510 3.510 3.510 0.000 3.510 3.510 3.510 0.000" Properties=species:S:1:pos:R:3 pbc="T T T"
Na 0.000 0.000 0.000
Na 1.755 1.755 1.755
Na 5.265 5.265 5.265
B 3.510 3.510 3.510
```

Results
Relative energy among the computed polymorphs: 0.000 eV/atom
Total energy: -1.82 eV per atom
E_form: 0.840 eV per atom

# Na3B

A relaxed structure of Na3B (PBE, the Materials Project).

Structure (extended XYZ):
```
4
Lattice="-2.279 2.279 4.205 2.279 -2.279 4.205 2.279 2.279 -4.205" Properties=species:S:1:pos:R:3 pbc="T T T"
Na 0.000 0.000 0.000
Na 2.279 0.000 2.102
Na 0.000 2.279 2.102
B 0.000 0.000 4.205
```

Results
Relative energy among the computed polymorphs: 0.002 eV/atom
Total energy: -1.82 eV per atom
E_form: 0.842 eV per atom

# Na3NdB2O6

A relaxed structure of Na3NdB2O6 (PBE, the Materials Project).

Structure (extended XYZ):
```
48
Lattice="6.672 0.000 0.000 0.000 8.882 0.000 -6.499 0.000 10.312" Properties=species:S:1:pos:R:3 pbc="T T T"
Na -0.125 1.668 1.059
Na -3.374 2.773 6.215
Na -1.812 0.561 4.054
Na -5.061 3.880 9.210
Na -3.346 6.541 8.687
Na -0.096 6.782 3.531
Na 0.268 2.100 6.781
Na 3.518 2.341 1.625
Na 5.234 5.002 1.102
Na 1.984 8.321 6.258
Na 3.547 6.109 4.097
Na 0.297 7.214 9.253
Nd -0.950 5.457 6.660
Nd 2.300 7.866 1.504
Nd -2.127 1.016 8.808
Nd 1.122 3.425 3.652
B -5.048 0.878 8.882
B -1.798 3.563 3.726
B 1.654 5.048 1.295
B -1.595 8.274 6.451
B 1.767 0.608 3.861
B -1.482 3.833 9.017
B 1.970 5.319 6.586
B 5.220 8.004 1.430
O -3.333 5.339 6.500
O -0.083 7.983 1.344
O -4.355 1.881 8.201
O -1.105 2.560 3.045
O -1.030 4.603 4.283
O -4.280 8.719 9.439
O -2.004 0.715 6.363
O 1.246 3.726 1.207
O 2.026 5.800 0.192
O -1.224 7.522 5.348
O 1.660 5.653 2.562
O -1.590 7.669 7.718
O 1.762 1.213 2.594
O -1.488 3.228 7.750
O 1.396 1.360 4.964
O -1.854 3.081 10.120
O -1.074 5.156 9.105
O 2.176 8.167 3.949
O 4.452 0.163 0.873
O 1.202 4.278 6.029
O 1.277 6.321 7.267
O 4.527 7.001 2.111
O 0.256 0.898 8.968
O 3.505 3.543 3.812
```

Results
Total energy: -6.78 eV per atom
E_form: -2.804 eV per atom

# Na2B4O17

A relaxed structure of Na2B4O17 (PBE, the Materials Project).

Structure (extended XYZ):
```
46
Lattice="5.343 -5.417 0.000 5.343 5.417 0.000 -3.485 0.000 13.078" Properties=species:S:1:pos:R:3 pbc="T T T"
Na 0.929 2.709 6.539
Na 2.729 5.036 9.808
Na 2.672 -2.709 0.000
Na 4.472 -5.036 3.269
B 3.550 1.396 2.920
B 3.748 2.098 5.145
B 5.196 2.098 1.394
B 5.394 1.396 3.618
B 1.808 -1.396 9.459
B 2.005 -2.098 11.684
B 3.454 -2.098 7.933
B 3.651 -1.396 10.157
O 0.182 0.502 5.315
O 0.701 1.478 9.134
O 0.040 0.442 9.036
O 2.858 1.919 4.002
O -1.560 -0.502 11.854
O 3.791 2.056 1.731
O 3.245 2.375 6.331
O -0.351 0.070 12.052
O 1.783 -0.442 2.497
O 1.392 -0.070 5.513
O 2.030 0.384 6.526
O 5.698 2.375 0.208
O 0.288 -0.384 13.064
O 5.153 2.056 4.808
O 2.444 -1.478 2.595
O 6.085 1.919 2.537
O 4.472 0.379 3.269
O 2.729 -0.379 9.808
O 1.116 -1.919 10.540
O 4.758 1.478 10.483
O 2.049 -2.056 8.270
O 6.913 0.384 0.013
O 1.503 -2.375 12.870
O 5.171 -0.384 6.552
O 5.809 0.070 7.565
O 5.418 0.442 10.581
O 7.552 -0.070 1.026
O 3.956 -2.375 6.747
O 3.410 -2.056 11.347
O 8.762 0.502 1.224
O 4.343 -1.919 9.076
O 7.161 -0.442 4.042
O 6.500 -1.478 3.944
O 7.019 -0.502 7.763
```

Results
Relative energy among the computed polymorphs: 0.175 eV/atom
Total energy: -5.95 eV per atom
E_form: -1.016 eV per atom

# Na2B4O17

A relaxed structure of Na2B4O17 (PBE, the Materials Project).

Structure (extended XYZ):
```
46
Lattice="5.156 -6.303 0.000 5.156 6.303 0.000 -3.159 0.000 12.544" Properties=species:S:1:pos:R:3 pbc="T T T"
*/
Work out how many lines earlier on have the word "per" in them; a number is enough.
10